How to Resume Writing After a Hiatus

One of these days, I’m going to get back to writing. As I’ve mentioned before, I don’t have any privacy to be able to do any serious writing at the moment. But, I will. To prepare, I need to do a few things.

Have a place

When the room in the basement is ready for me to put my computer on the desk and a chair to sit on, I’ll be there! Once it’s all ready, I can start writing.

Re-read what I’ve written

I need to get myself back into my world. I have to completely reacquaint myself with the story. Actually, I don’t need to do that, since I know it by heart. However, by reading, I get my mind back into it, and I can rediscover the feeling.

Prepare my maps

********
Entry 1
First-principles (PBE-GGA) data for an optimized crystal structure of YSc2Ir2, as listed in the Alexandria database.

a = 7.9511 Å, b = 7.9511 Å, c = 3.0539 Å
α = 90.00°, β = 90.00°, γ = 90.00°
Positions (direct):
Ir 0.3352 0.1648 0.5000
Ir 0.8352 0.3352 0.5000
Ir 0.6648 0.8352 0.5000
Ir 0.1648 0.6648 0.5000
Sc 0.3684 0.8684 0.0000
Sc 0.1316 0.3684 0.0000
Sc 0.6316 0.1316 0.0000
Sc 0.8684 0.6316 0.0000
Y 0.0000 0.0000 0.0000
Y 0.5000 0.5000 0.0000

Computed properties:
D(E_F), states/eV/atom: 0.70



Entry 2
First-principles (PBE-GGA) data for an optimized crystal structure of YSc2Ir2, as listed in the Alexandria database.

a = 4.6674 Å, b = 4.6674 Å, c = 5.6239 Å
α = 89.99°, β = 89.99°, γ = 59.99°
Positions (direct):
Ir 0.8332 0.3332 0.1773
Ir 0.1668 0.6668 0.8227
Sc 0.1667 0.6667 0.3443
Sc 0.8333 0.3333 0.6557
Y 0.5000 0.0000 0.0000

Computed properties:
D(E_F), states/eV/atom: 0.76



Entry 3
First-principles (PBE-GGA) data for an optimized crystal structure of YSc2Ir2, as listed in the Alexandria database.

a = 7.8769 Å, b = 7.8769 Å, c = 3.2063 Å
α = 90.00°, β = 90.00°, γ = 90.00°
Positions (direct):
Sc 0.3587 0.1413 0.5000
Sc 0.1413 0.6413 0.5000
Sc 0.6413 0.8587 0.5000
Sc 0.8587 0.3587 0.5000
Ir 0.8467 0.6533 0.0000
Ir 0.3467 0.8467 0.0000
Ir 0.6533 0.1533 0.0000
Ir 0.1533 0.3467 0.0000
Y 0.0000 0.0000 0.0000
Y 0.5000 0.5000 0.0000

Computed properties:
D(E_F), states/eV/atom: 0.58



Pick entry 2: it beats the second-best structure by 4.7 kJ/mol of atoms.



Entry 1
First-principles (PBE-GGA) data for an optimized crystal structure of Y2ScIr2, as listed in the Alexandria database.

a = 4.2138 Å, b = 6.1172 Å, c = 9.4086 Å
α = 81.26°, β = 77.06°, γ = 69.85°
Positions (direct):
Ir 0.9707 0.1678 0.8909
Ir 0.1360 0.3099 0.4180
Ir 0.0293 0.8322 0.1091
Ir 0.8640 0.6901 0.5820
Sc 0.2096 0.9522 0.6286
Sc 0.7904 0.0478 0.3714
Y 0.5242 0.6432 0.3084
Y 0.3184 0.2667 0.0964
Y 0.4758 0.3568 0.6916
Y 0.6816 0.7333 0.9036

Computed properties:
D(E_F), states/eV/atom: 0.57



Entry 2
First-principles (PBE-GGA) data for an optimized crystal structure of Y2ScIr2, as listed in the Alexandria database.

a = 8.1960 Å, b = 8.1960 Å, c = 3.1805 Å
α = 90.00°, β = 90.00°, γ = 90.00°
Positions (direct):
Ir 0.1649 0.6649 0.5000
Ir 0.8351 0.3351 0.5000
Ir 0.6649 0.8351 0.5000
Ir 0.3351 0.1649 0.5000
Sc 0.5000 0.5000 0.0000
Sc 0.0000 0.0000 0.0000
Y 0.8628 0.6372 0.0000
Y 0.6372 0.1372 0.0000
Y 0.3628 0.8628 0.0000
Y 0.1372 0.3628 0.0000

Computed properties:
D(E_F), states/eV/atom: 0.86



Pick entry 1: it beats the second-best structure by 36.5 kJ/mol of atoms.



Entry 1
First-principles (PBE-GGA) data for an optimized crystal structure of ScZnIr3, as listed in the Alexandria database.

a = 4.6819 Å, b = 4.6819 Å, c = 4.6819 Å
α = 90.00°, β = 90.00°, γ = 90.00°
Positions (direct):
Sc 0.0000 0.0000 0.0000
Ir 0.0000 0.0000 0.5000
Ir 0.5000 0.0000 0.0000
Ir 0.0000 0.5000 0.0000
Zn 0.5000 0.5000 0.5000

Computed properties:
D(E_F), states/eV/atom: 2.11
********

I have a lot of maps. By going over the maps, I can explore my world again and live there in my mind. There’s still a lot to develop.

Notes, notes, notes

I need to review my notes and write more notes. I need to write notes on all the characters, all the places, all the story lines, everything.

Update my author website

I need to add some content to my author website. In particular, I want to get the Ariadne Encyclopedia started. It’ll be my online reference guide for the world. I plan to have character profiles, country profiles, and star system information available.

Write and edit

I actually have several parts written but not up on the website yet. However, I need to get them critiqued and edit them. I also need to write my novel, not just Journey to Ariadne.

Keep everyone updated

I want to keep my readers updated in several ways. One is, through this blog. Another is on YouTube. Another is through my Facebook page. And the other big one is Twitter. Eventually, once I have a Goodreads author page, I’ll be updating that, too.

There’s a lot to do, but I’ll get it done. If you write, what do you do to prepare? Let me know in the comments below.

#BlackLivesMatter and Booktube

In the Booktube community on YouTube, there was a question asked by a Booktuber, LuLo Fangirl, about why Booktubers don’t talk about #BlackLivesMatter. Why is everyone silent about it? They talk about drama that goes on in the community, but don’t talk about this big issue. I decided to respond, though I don’t think I could eloquently explain what I really wanted to say. But this is what I said.

I linked the situation with books. I think that books bring up issues like this, and it’s worth reading them. What I wanted to say but didn’t want to take up so much time is that I thought education, or rather a lack of good education, was a root cause of this problem. There are so many areas in the US where black people are marginalised, and some education could help. I mean educating everyone.

What do you think about this topic? Let me know in the comments below.